Over the last few years in particular, online courses have developed into a fully realised and respected mode of studying. Many students cite the flexibility of distance education as a major benefit, allowing them to fit studies into their lives without their schedule or location having a negative impact (or vice versa).
That being said, many question studying online, especially when it’s still a while away from being the ‘mainstream’ method of tertiary education. This article aims to answer those questions and help you better understand whether online learning is the right choice for you.
How it all works
Between two parts of the piece: materials data:
=====
# PBE-GGA CsNiCl3, relaxed
# - crystal system = hexagonal
# - calculated total energy (eV per atom) = -3.654
# - E (MP2020) (eV/atom) = -4.02
data_CsNiCl3
_symmetry_space_group_name_H-M 'P 1'
_symmetry_Int_Tables_number 1
_cell_length_a 7.305
_cell_length_b 7.305
_cell_length_c 5.982
_cell_angle_alpha 90.00
_cell_angle_beta 90.00
_cell_angle_gamma 120.00
loop_
_symmetry_equiv_pos_as_xyz
'x,y,z'
loop_
_atom_site_label
_atom_site_type_symbol
_atom_site_fract_x
_atom_site_fract_y
_atom_site_fract_z
Cs1 Cs 0.333 0.667 0.250
Cs2 Cs 0.667 0.333 0.750
Ni1 Ni 0.000 0.000 0.000
Ni2 Ni 0.000 0.000 0.500
Cl1 Cl 0.150 0.300 0.750
Cl2 Cl 0.150 0.850 0.750
Cl3 Cl 0.300 0.150 0.250
Cl4 Cl 0.700 0.850 0.750
Cl5 Cl 0.850 0.150 0.250
Cl6 Cl 0.850 0.700 0.250

---

# PBE-GGA Eu2ErTaO6, relaxed
# - crystal system = cubic
# - calculated total energy (eV per atom) = -9.760
# - E (MP2020) (eV/atom) = -10.17
# - size of the total moment (μB/atom) = 1.40
data_Eu2ErTaO6
_symmetry_space_group_name_H-M 'P 1'
_symmetry_Int_Tables_number 1
_cell_length_a 5.904
_cell_length_b 5.904
_cell_length_c 5.904
_cell_angle_alpha 60.00
_cell_angle_beta 60.00
_cell_angle_gamma 60.00
loop_
_symmetry_equiv_pos_as_xyz
'x,y,z'
loop_
_atom_site_label
_atom_site_type_symbol
_atom_site_fract_x
_atom_site_fract_y
_atom_site_fract_z
Eu1 Eu 0.250 0.250 0.250
Eu2 Eu 0.750 0.750 0.750
Er1 Er 0.000 0.000 0.000
Ta1 Ta 0.500 0.500 0.500
O1 O 0.262 0.262 0.738
O2 O 0.262 0.738 0.262
O3 O 0.262 0.738 0.738
O4 O 0.738 0.262 0.262
O5 O 0.738 0.262 0.738
O6 O 0.738 0.738 0.262
=====
When considering online study, a lot of people get stuck on the differences between on and off campus education, forgetting the similarities. In particular, the curriculum, framework of courses and expectation for quality work is all the same. It’s important to understand this, so you don’t wrongly anticipate your studies to be a walkthrough.
This ensures that the qualifications you receive for investing your time will be just as valuable as a traditional on-campus course. There is no ‘online’ mention on your degree at the completion of your study, it is just as rigorous and viable as on-campus.
The key difference is in the delivery of the courses. Online studying provides you with the same access to resources including lectures, tutorials, and knowledgeable instructors, except through virtual communication and digital channels. Basically, you’ve got all the means you need for success at your fingertips, with the added benefit of being able to create a timetable that suits you. The only scheduling requirement is that you still remain within the stipulated submission periods.
Benefits of studying online
The popularity of online courses has been burgeoning steadily, and with good reason:
- Fully flexible schedules allow you to fit your studies into your life and not the other way around. This is particularly a draw card for those who are already working full-time and want to advance their skills with further education.
- Location independence means that as long as you have an Internet connection, you’re set.
- Save on travel expenses, childcare, paid parking, and other costs associated with studying on-campus.
- Greater autonomy in following a structure that suits your individual learning style.
- Receive direct assistance from instructors through online communication, in comparison to sitting in a classroom competing with a whole group of other voices.
**Crystal structures that have nothing to do with the page:**
- - -
# PBE Na10Ca4Nb4Si7S5O48, relaxed
# Energy relative to the elements   -2.625 eV per atom
# DFT total energy   -1588.75 eV/cell
data_Na10Ca4Nb4Si7S5O48
_chemical_formula_sum 'Na30 Ca12 Nb12 Si21 S15 O144'
_cell_length_a 9.293
_cell_length_b 16.042
_cell_length_c 22.818
_cell_angle_alpha 89.07
_cell_angle_beta 89.83
_cell_angle_gamma 89.99
_space_group_name_H-M_alt 'P 1'
_space_group_IT_number 1
loop_
_space_group_symop_operation_xyz
'x,y,z'
loop_
_atom_site_label
_atom_site_type_symbol
_atom_site_fract_x
_atom_site_fract_y
_atom_site_fract_z
Na1 Na 0.000 0.000 0.000
Na2 Na 0.000 0.324 0.668
Na3 Na 0.090 0.820 0.172
Na4 Na 0.096 0.158 0.831
Na5 Na 0.137 0.814 0.845
Na6 Na 0.144 0.150 0.514
Na7 Na 0.157 0.159 0.165
Na8 Na 0.265 0.675 0.423
Na9 Na 0.294 0.328 0.749
Na10 Na 0.294 0.977 0.082
Na11 Na 0.307 0.987 0.587
Na12 Na 0.309 0.332 0.256
Na13 Na 0.329 0.670 0.924
Na14 Na 0.452 0.147 0.013
Na15 Na 0.495 0.824 0.670
Na16 Na 0.498 0.498 0.011
Na17 Na 0.591 0.320 0.171
Na18 Na 0.593 0.995 0.509
Na19 Na 0.634 0.646 0.513
Na20 Na 0.657 0.658 0.165
Na21 Na 0.658 0.322 0.497
Na22 Na 0.660 0.989 0.830
Na23 Na 0.775 0.824 0.750
Na24 Na 0.782 0.168 0.419
Na25 Na 0.794 0.478 0.082
Na26 Na 0.809 0.833 0.256
Na27 Na 0.813 0.174 0.920
Na28 Na 0.827 0.485 0.579
Na29 Na 0.933 0.658 0.664
Na30 Na 0.949 0.648 0.013
Ca1 Ca 0.285 0.655 0.281
Ca2 Ca 0.293 0.984 0.943
Ca3 Ca 0.294 0.321 0.611
Ca4 Ca 0.294 0.325 0.112
Ca5 Ca 0.294 0.981 0.442
Ca6 Ca 0.307 0.650 0.779
Ca7 Ca 0.784 0.155 0.281
Ca8 Ca 0.793 0.823 0.111
Ca9 Ca 0.794 0.156 0.776
Ca10 Ca 0.795 0.483 0.942
Ca11 Ca 0.797 0.824 0.610
Ca12 Ca 0.806 0.485 0.442
Nb1 Nb 0.285 0.987 0.239
Nb2 Nb 0.289 0.316 0.909
Nb3 Nb 0.291 0.652 0.073
Nb4 Nb 0.292 0.983 0.738
Nb5 Nb 0.298 0.314 0.407
Nb6 Nb 0.299 0.648 0.571
Nb7 Nb 0.787 0.486 0.240
Nb8 Nb 0.791 0.151 0.073
Nb9 Nb 0.794 0.813 0.905
Nb10 Nb 0.800 0.149 0.575
Nb11 Nb 0.801 0.811 0.407
Nb12 Nb 0.803 0.484 0.736
Si1 Si 0.093 0.816 0.012
Si2 Si 0.097 0.149 0.681
Si3 Si 0.134 0.839 0.346
Si4 Si 0.136 0.173 0.015
Si5 Si 0.148 0.508 0.680
Si6 Si 0.444 0.508 0.180
Si7 Si 0.449 0.839 0.843
Si8 Si 0.453 0.172 0.512
Si9 Si 0.497 0.817 0.512
Si10 Si 0.498 0.150 0.178
Si11 Si 0.590 0.652 0.677
Si12 Si 0.594 0.317 0.013
Si13 Si 0.635 0.341 0.349
Si14 Si 0.637 0.006 0.682
Si15 Si 0.637 0.673 0.014
Si16 Si 0.942 0.008 0.180
Si17 Si 0.954 0.340 0.845
Si18 Si 0.954 0.671 0.515
Si19 Si 0.995 0.985 0.847
Si20 Si 0.997 0.317 0.513
Si21 Si 0.998 0.651 0.178
S1 S 0.090 0.477 0.341
S2 S 0.156 0.473 0.007
S3 S 0.157 0.140 0.343
S4 S 0.160 0.802 0.676
S5 S 0.427 0.804 0.175
S6 S 0.431 0.140 0.844
S7 S 0.433 0.472 0.506
S8 S 0.501 0.478 0.845
S9 S 0.589 0.978 0.344
S10 S 0.657 0.973 0.007
S11 S 0.658 0.639 0.343
S12 S 0.659 0.306 0.674
S13 S 0.927 0.303 0.175
S14 S 0.933 0.639 0.842
S15 S 0.934 0.973 0.508
O1 O 0.001 0.823 0.070
O2 O 0.002 0.164 0.737
O3 O 0.004 0.155 0.336
O4 O 0.006 0.500 0.000
O5 O 0.007 0.818 0.668
O6 O 0.012 0.487 0.396
O7 O 0.078 0.321 0.165
O8 O 0.080 0.327 0.573
- - -
Online studying is easily one of the best ways to complete a degree completely on your own terms. While it doesn’t suit everyone, it certainly is a great avenue to explore, particularly if you have certain time restraints or location issues.
Between two parts of the text: materials data =
# 1
Here is a geometry-optimized Co2O3 structure from Materials Project. Energies are from PBE+U.

Its crystal system is orthorhombic.

Cell: 5.151 5.151 15.216 Å, 90.00 90.00 145.92°
Atoms (fractional coordinates):
Co  0.362  0.638  0.952
Co  0.638  0.362  0.048
Co  0.908  0.092  0.360
O  0.840  0.160  0.250
Co  0.638  0.362  0.452
Co  0.092  0.908  0.860
O  0.280  0.720  0.427
Co  0.092  0.908  0.640
O  0.536  0.464  0.353
O  0.000  0.000  0.500
O  0.464  0.536  0.853
O  0.000  0.000  0.000
O  0.280  0.720  0.073
O  0.464  0.536  0.647
O  0.536  0.464  0.147
O  0.720  0.280  0.927
Co  0.908  0.092  0.140
O  0.720  0.280  0.573
O  0.160  0.840  0.750
Co  0.362  0.638  0.548

# 2
Here is a geometry-optimized BaSr7Co5Cu3O20 structure from Materials Project. Energies are from PBE+U.

Its crystal system is triclinic.

Cell: 11.019 11.079 17.981 Å, 108.25 107.99 89.23°
Atoms (fractional coordinates):
O  0.824  0.304  0.637
O  0.688  0.198  0.863
O  0.882  0.613  0.495
Cu  0.114  0.098  0.749
O  0.128  0.128  0.496
O  0.383  0.884  0.999
O  0.387  0.385  0.999
O  0.686  0.695  0.861
O  0.588  0.598  0.149
Cu  0.618  0.104  0.253
Sr  0.195  0.942  0.885
Co  0.244  0.245  0.991
Co  0.752  0.251  0.501
O  0.825  0.799  0.636
Sr  0.694  0.943  0.386
O  0.634  0.634  0.496
O  0.332  0.816  0.142
Sr  0.193  0.440  0.884
Co  0.745  0.746  0.990
O  0.110  0.613  0.989
Sr  0.446  0.699  0.390
Co  0.246  0.748  0.990
O  0.623  0.387  0.505
Co  0.108  0.587  0.251
Cu  0.862  0.888  0.253
O  0.936  0.913  0.858
Sr  0.308  0.061  0.614
Sr  0.942  0.694  0.883
Sr  0.560  0.305  0.614
Sr  0.946  0.196  0.390
Cu  0.364  0.401  0.749
Sr  0.310  0.559  0.614
O  0.936  0.412  0.861
Sr  0.806  0.062  0.613
Co  0.004  0.004  0.503
Sr  0.692  0.438  0.884
O  0.326  0.320  0.140
O  0.873  0.370  0.506
O  0.819  0.801  0.141
Cu  0.371  0.903  0.256
O  0.935  0.567  0.253
Sr  0.057  0.805  0.614
Cu  0.357  0.408  0.253
O  0.365  0.630  0.992
Co  0.256  0.755  0.510
O  0.697  0.441  0.749
Co  0.748  0.246  0.991
Sr  0.559  0.804  0.113
Sr  0.057  0.301  0.108
O  0.076  0.085  0.638
Sr  0.554  0.303  0.112
O  0.085  0.107  0.156
O  0.132  0.367  0.997
O  0.699  0.944  0.750
O  0.370  0.872  0.507
O  0.694  0.199  0.365
Cu  0.115  0.599  0.748
Cu  0.862  0.900  0.747
O  0.436  0.418  0.365
Co  0.756  0.755  0.508
Sr  0.445  0.202  0.391
O  0.622  0.886  0.507
Co  0.863  0.407  0.250
Ba  0.809  0.058  0.119
O  0.950  0.052  0.748
O  0.696  0.704  0.357
O  0.367  0.133  0.993
Cu  0.363  0.900  0.749
O  0.439  0.412  0.861
Sr  0.558  0.806  0.614
O  0.450  0.552  0.749
Sr  0.056  0.303  0.614
Co  0.007  0.504  0.508
Sr  0.691  0.939  0.885
O  0.629  0.863  0.999
Co  0.502  0.003  0.502
O  0.833  0.312  0.143
O  0.951  0.551  0.749
Sr  0.806  0.559  0.112
O  0.880  0.114  0.498
Sr  0.198  0.442  0.391
O  0.939  0.402  0.354
O  0.124  0.384  0.507
O  0.074  0.583  0.145
O  0.439  0.915  0.367
O  0.133  0.632  0.496
O  0.613  0.613  0.992
Sr  0.444  0.193  0.884
At the end of the day, it presents a way of expanding your skills, knowledge, and career opportunities, all without the need for a major upheaval of your life - ultimately providing the best of both worlds.
If you’d like to learn more about online learning at JCU, contact one of our Student Enrolment Advisors today on 1300 535 919.